Please echo only the lines further down with the word "Sb" in them.

~~~
Sb5Os3Au: simulated powder X-ray diffraction pattern (Cu Kα (weighted mean of Kα1 and Kα2)), based on DFT lattice parameters and positions (PBE).
No peak broadening, texture or thermal motion is included.

Atomic structure:
Cell lengths 5.627, 5.627, 7.768 Å; angles 90.00, 90.00, 120.00 degrees
Fractional positions:
Sb 0.000 0.000 0.000
Sb 0.333 0.667 0.281
Sb 0.333 0.667 0.719
Sb 0.667 0.333 0.281
Sb 0.667 0.333 0.719
Os 0.000 0.500 0.000
Os 0.500 0.000 0.000
Os 0.500 0.500 0.000
Au 0.000 0.000 0.500

The 6 most intense peaks (5 to 70 degrees two-theta), most intense first:
2theta	I (rel.)
43.86	100
11.39	55
31.81	38
38.73	32
29.41	31
36.89	27

=====

Sm4C2Br3Cl2: simulated powder X-ray diffraction pattern (Cu Kα (weighted mean of Kα1 and Kα2)), based on DFT lattice parameters and positions (PBE).
No peak broadening, texture or thermal motion is included.

Atomic structure:
Cell lengths 9.605, 9.605, 8.136 Å; angles 103.82, 103.82, 23.15 degrees
Fractional positions:
Sm 0.001 0.001 0.300
Sm 0.340 0.340 0.402
Sm 0.660 0.660 0.598
Sm 0.999 0.999 0.700
C 0.461 0.461 0.477
C 0.539 0.539 0.523
Br 0.163 0.163 0.866
Br 0.500 0.500 0.000
Br 0.837 0.837 0.134
Cl 0.170 0.170 0.348
Cl 0.830 0.830 0.652

The 6 most intense peaks (5 to 70 degrees two-theta), most intense first:
2theta	I (rel.)
31.99	100
29.36	70
44.42	38
28.25	38
43.52	37
11.21	36

=====

Nd2Dy2CI2BrCl2: simulated powder X-ray diffraction pattern (Cu Kα (weighted mean of Kα1 and Kα2)), based on DFT lattice parameters and positions (PBE).
No peak broadening, texture or thermal motion is included.

Atomic structure:
Cell lengths 9.185, 9.185, 8.274 Å; angles 101.94, 101.94, 24.52 degrees
Fractional positions:
Nd 0.143 0.143 0.070
Nd 0.857 0.857 0.930
Dy 0.496 0.496 0.197
Dy 0.504 0.504 0.803
C 0.000 0.000 0.000
I 0.335 0.335 0.631
I 0.665 0.665 0.369
Br 0.000 0.000 0.500
Cl 0.336 0.336 0.170
Cl 0.664 0.664 0.830

The 6 most intense peaks (5 to 70 degrees two-theta), most intense first:
2theta	I (rel.)
31.53	100
30.57	52
30.87	46
28.41	33
44.80	31
10.08	29

=====

[1]
Structure and simulated powder diffraction line list of Tc3Pd (a PBE-relaxed structure; a wavelength of 1.5418 Å).
Kinematic intensities with the Lorentz-polarization factor, no thermal factor.

Crystal structure
```
data_Tc3Pd
_cell_length_a 2.7520
_cell_length_b 2.7520
_cell_length_c 8.9645
_cell_angle_alpha 90.00
_cell_angle_beta 90.00
_cell_angle_gamma 120.00
_symmetry_space_group_name_H-M 'P -6 m 2'
_symmetry_Int_Tables_number 187
_symmetry_space_group_name_Hall 'P -6 2'
loop_
_atom_site_label
_atom_site_type_symbol
_atom_site_fract_x
_atom_site_fract_y
_atom_site_fract_z
Tc1 Tc 0.0000 0.0000 0.0000
Tc2 Tc 0.3333 0.6667 0.2443
Pd1 Pd 0.0000 0.0000 0.5000
```

Largest 5 diffraction maxima, by intensity, 5° ≤ 2θ ≤ 70°:
index  2θ (°)  d/Å  I_rel
1 0 2  42.98  2.104  100
0 0 4  40.24  2.241  27
1 0 0  37.75  2.383  24
1 1 0  68.15  1.376  16
1 0 4  56.35  1.633  15



[2]
Structure and simulated powder diffraction line list of Y2MgCuO4 (a PBE-relaxed structure; a wavelength of 1.5418 Å).
Kinematic intensities with the Lorentz-polarization factor, no thermal factor.

Crystal structure
```
data_Y2MgCuO4
_cell_length_a 5.6693
_cell_length_b 5.6692
_cell_length_c 7.8335
_cell_angle_alpha 90.00
_cell_angle_beta 110.27
_cell_angle_gamma 90.00
_symmetry_space_group_name_H-M 'C 1 m 1'
_symmetry_Int_Tables_number 8
_symmetry_space_group_name_Hall 'C -2y'
loop_
_atom_site_label
_atom_site_type_symbol
_atom_site_fract_x
_atom_site_fract_y
_atom_site_fract_z
Y1 Y 0.0000 0.0000 0.0000
Y2 Y 0.2453 0.5000 0.5268
Mg1 Mg 0.0545 0.5000 0.1181
Cu1 Cu 0.3694 0.0000 0.7607
O1 O 0.0590 0.2468 0.6534
O2 O 0.3233 0.2502 0.1581
```

Largest 10 diffraction maxima, by intensity, 5° ≤ 2θ ≤ 70°:
index  2θ (°)  d/Å  I_rel
0 2 0  31.56  2.834  100
2 2 -1  45.24  2.004  94
1 1 -3  38.18  2.357  84
1 1 1  28.61  3.120  80
1 1 2  37.74  2.384  79
1 1 -2  28.94  3.085  63
0 0 1  12.04  7.348  56
0 0 2  24.22  3.674  46
0 2 4  60.02  1.541  43
~~~

Sb 0.000 0.000 0.000
Sb 0.333 0.667 0.281
Sb 0.333 0.667 0.719
Sb 0.667 0.333 0.281
Sb 0.667 0.333 0.719